Leave Behind Vein Pain


Using Radiofrequency Ablation To Treat Vein Disease

Radiofrequency Ablation is a minimally invasive procedure that utilizes radiofrequency energy to seal off damaged veins. Heat is used to burn tissue, causing scar tissue to develop. The scar tissue then acts to seal off the vein, redistributing your blood flow to healthier veins.

How Does It Work?

Radiofrequency energy is delivered through a catheter, placed into the vein through a tiny incision. Heat is created by delivering an electrical current via the catheter. We will ensure that the targeted vein is fixed firmly around the catheter, and the heat that is created will destroy and collapse the veins. Using local anesthesia, this procedure should take no longer than 30 minutes. Following the treatment, you’ll be required to wear compression stockings for up to a week and may be asked to avoid physical activities. However, walking is encouraged to improve circulation.

Benefits Of Radiofrequency Ablation Treatment

RFA addresses the root cause of vein disease, rather than only treating the symptoms. There are several reasons to think about it:

  • It’s a minimally invasive procedure that requires no hospitalization

  • It’s proven safe and effective

  • Quick recovery time

  • Compared to other treatment options, RFA has been shown to better reduce discomfort and lower the risk of procedure-related complications

Is RFA Treatment Right For Me?

RFA may not be the best solution in some circumstances, especially when veins are too thin, convoluted, or near the skin’s surface. Depending on your individual condition, we will create a customized treatment plan to optimize your health and help you to regain your regular routine.


Endovenous Laser Treatment is a minimally invasive procedure that targets Varicose veins with advanced laser technology. It works by injecting a small fiber into the affected veins through an extremely small opening in the skin. Using the exact amount of energy needed, the fiber produces a laser light that interacts with the targeted tissue and causes the vein to constrict and collapse. The blood is then re-routed to veins that are healthy, with the body ultimately absorbing the collapsed veins.

Benefits of EVLT

Endovenous Laser Treatment is a minimally invasive treatment option with an extremely effective success rate. No hospitalization is needed, and your recovery time post-procedure will leave you highly satisfied! This procedure will:

  • Provide pain relief for debilitating symptoms

  • Help you get back to your normal routine right away

Between two parts of the text: data records:
A:
The following is a DFT calculation (the ωB97M-V functional and the def2-TZVPD basis) of 2 unconnected molecules or ions with the total composition C4H13NO2.

Last column: Mulliken charge in e.
CARTESIAN COORDINATES (ANGSTROEM)
C -0.4957 -0.5662 1.0797  -1.038
C -1.1021 0.8575 0.7947  0.264
O -1.4181 0.8109 -0.6506  -0.603
C -0.0813 2.0158 0.9545  -0.993
C 1.2888 1.7225 0.3644  -0.576
N 1.1943 1.2801 -1.0792  -0.540
H 0.5360 -0.5960 0.6255  0.174
H -1.1327 -1.2483 0.4035  0.262
H -0.3585 -0.9479 2.0655  0.367
H -2.0678 1.1722 1.4043  0.299
H -0.4974 1.3284 -0.7182  0.530
H -0.5493 2.9518 0.4984  0.365
H -0.0913 2.3102 2.0124  0.417
H 1.8783 2.7226 0.4348  0.378
H 1.8704 0.8943 0.9436  0.282
H 1.8000 0.5577 -1.2313  0.185
H 1.6309 2.1233 -1.4849  0.229
O -0.6404 -5.9853 -1.8102  -0.650
H -1.0419 -6.3740 -2.6359  0.328
H -0.7222 -5.0296 -1.9709  0.321

Computed properties:
- structure (SMILES) = C[C@H](O)CCN.O
- Kohn-Sham gap (eV) = 10.102

***

B:
The following is a DFT calculation (the ωB97M-V functional and the def2-TZVPD basis) of 2 unconnected molecules or ions with the total composition C4H13NO2.

Last column: Mulliken charge in e.
CARTESIAN COORDINATES (ANGSTROEM)
C -0.8037 0.2371 -2.0871  -0.945
C 0.3113 1.0204 -1.4638  -0.407
C 0.5594 0.2152 -0.2204  0.086
N -0.6738 0.3783 0.6728  -0.480
C 1.8788 0.4938 0.6014  -0.577
O 1.8604 -0.3412 1.7037  -0.517
H -0.7595 0.2097 -3.2190  0.310
H -1.8387 0.5103 -1.8394  0.287
H -0.9162 -0.8572 -1.8003  0.222
H 0.1415 2.1010 -1.2982  0.334
H 1.1442 0.7177 -2.1945  0.232
H 0.5771 -0.8950 -0.4925  0.204
H -1.1360 1.2421 0.6908  0.192
H -0.6595 0.2614 1.6695  0.208
H 1.7485 1.4124 1.2415  0.263
H 2.7661 0.3839 -0.0107  0.293
H 1.6835 -1.3515 1.5233  0.301
O -2.5436 -1.5727 0.7333  -0.652
H -1.5336 -1.6023 0.7096  0.335
H -2.7106 -1.2680 -0.1660  0.311

Computed properties:
- structure (SMILES) = CC[C@H](N)CO.O
- Kohn-Sham gap (eV) = 9.767

***

C:
The following is a DFT calculation (the ωB97M-V functional and the def2-TZVPD basis) of 3 unconnected molecules or ions with the total composition C4H13NO2.

Last column: Mulliken charge in e.
CARTESIAN COORDINATES (ANGSTROEM)
C 1.9037 1.1010 -1.0860  -0.533
C 0.7894 1.8190 -1.3035  -0.249
C -0.3310 1.9373 -0.3072  -0.251
N -0.8426 0.6468 0.1778  -0.246
C -1.5068 0.7490 1.4583  -1.083
H 2.9382 1.4114 -0.9530  0.248
H 1.8408 0.1186 -0.6054  0.013
H 0.6790 2.4563 -2.1751  0.308
H 0.0503 2.4380 0.5880  0.266
H -1.1591 2.5270 -0.6951  0.328
H -0.1671 -0.1015 0.2205  0.212
H -2.5318 1.1199 1.3703  0.363
H -1.8040 -0.2829 1.7078  0.321
H -1.0040 1.1470 2.3470  0.354
O -1.7318 -2.7111 0.2313  -0.629
H -2.4576 -3.3109 0.4477  0.307
H -2.2576 -1.9542 -0.0654  0.319
O 2.0477 -2.1010 0.2254  -0.659
H 2.1563 -2.9803 0.6051  0.311
H 1.1993 -2.1910 -0.2326  0.302

Computed properties:
- structure (SMILES) = C=CCNC.O.O
- Kohn-Sham gap (eV) = 9.080

***

D:
The data records stop here:

  • Require no hospitalization

  • Leave no scarring or other blemishes

What Should I Expect?

Dr. Alexandr Zaitsev will first use a local anesthetic to numb the area. Next, he’ll use real-time ultrasonography to guide the insertion of a small laser fiber into the damaged veins. Following that, laser light is used to heat and seal the affected veins. Healthier veins will then take up the duty of circulating your blood flow.

You may need to come in for more than one EVLT treatment, depending on the amount and severity of the Varicose veins. However, the process is minimally invasive and should take no more than 30 minutes.

In most cases, your recovery from EVLT treatment will be painless. You’ll be advised to walk as much as possible in the first few days, as this will improve circulation, help to avoid blood clots, and minimize inflammation while recovering. You may experience a small amount of leg discomfort; however, it should only last a short period of time. Over-the-counter medication can typically provide relief for any discomfort following the procedure, but it’s recommended that you steer clear from aspirin-containing products. There may be bruising around the affected veins, but that should go away in just a few weeks.


Sclerotherapy is a minimally invasive form of treatment for spider and varicose veins. The thin purple or red veins that you see in your legs may be just a cosmetic irritant to you, but those spider veins may also be causing some of the aching, burning, and cramping that you feel in your legs throughout the day.

Sclerotherapy treatments can provide you with younger-looking legs clear of unsightly veins while enhancing blood circulation. This form of vein therapy works by collapsing damaged veins with a specialized saline solution. The blood that pooled in the damaged vein then redirects itself through the surrounding veins.

About Sclerotherapy

During sclerotherapy, a specialized solution is injected directly into the problematic vein. Multiple veins can be treated with sclerotherapy during a single treatment session.

Sclerotherapy is often done for cosmetic purposes as the therapy will reduce or eliminate the appearance of spider and varicose veins. A single treatment session will last between 30 and 45 minutes.

Sclerotherapy can also reduce several of the symptoms associated with vein disease, including:

  • Night cramps in the legs

  • Burning

  • Aching

  • Swelling

Prior to sclerotherapy, Dr. Schoenhaus will conduct a full medical examination and assess your medical history. Several lifestyle remedies may also be recommended, such as wearing compression stockings.

Sclerotherapy is considered mostly pain-free. This form of vein treatment is capable of removing up to 80 percent of varicose and spider veins. Veins will disappear gradually following treatment sessions. Smaller veins may be eliminated within three to six weeks, while larger veins often require three to four months for a full recovery.